Twenty years ago, I used to quip that my heart would sink to my boots whenever a winemaker asked, “Would you like to try my Pinot Noir?” The enquiry usually came at the end of a visit and tasting, and a response in the affirmative was the only response. Some polite mutterings would follow before I signaled my retreat with an “Is that the time?” exclamation. Relating this semi-apocryphal scenario to a wine merchant friend, saying how exasperating I found it to taste a fine range of wines, only to be brought up short by a lumpen or vapid Pinot, he counseled, “Well, it took the Burgundians one thousand years to get it right, and sometimes they still make a mess of it, so it is not surprising the newcomers struggle. Give them time.”
Two decades later, the picture has changed markedly, which makes this, the latest monograph from the International Wine & Food Society, well timed to catch the rising tide of quality and interest in the prima donna grape, of which I once wrote, “… fickle as the Irish weather, bewitching as a temptress, enchanting as a nightingale.” Anne Krebiehl MW echoes this in her introduction: “In short, it captivates us, and its best examples transcend mere taste and flavor and let us glimpse something almost divine. For some reason, Pinot Noir engenders obsessiveness, both in those who drink it and in those who grow and make it.” Any Pinot-phile pondering those words—and the slew of rhetorical questions that dominate the introduction, attempting to explain the obsessiveness—will be comforted to know that they are safe in the hands of a fellow sufferer: “What is it about Pinot Noir that captivates us so much? […] Is it because Pinot Noir is said to express what other wines cannot, something profound that is a link to a particular place and time? Because growing and making it is such a challenge? Because it excels when it has had to struggle? Or perhaps because it has been with us humans for such a long time, and has helped and nurtured us as we helped and nurtured it?”
Over the following four-score pages, Krebiehl crafts a Pinot primer that goes some way toward answering her questions, but you can feel this grape, about which so much has been written, straining at the boundaries imposed by the booklet’s diminutive size. One senses, too, that “fellow sufferer” Krebiehl needs a bigger stage to do full justice to her subject. Indeed, I suspect she may have longed for another four-score pages to elaborate on Pinot’s myriad attractions and frustrations.
The dramatic improvement of Pinot Noir
The result is a work where, at times, the narrative leaps forward at time-warp pace, such as in Chapter 4, when, in the space of two paragraphs, the story jumps some nine centuries—from the founding of the Abbey of Cîteaux in 1098, to the second half of the 20th century. Chapter 2 also finishes at a gallop, when a little more information, even one more paragraph, would have fleshed out the tale. Such compaction catches the reader unawares at times.
Chapter 5 carries the book’s title—Pinot Noir Around the World—and forms the backbone of this work. It is here that Krebiehl displays the knowledge and enthusiasm that will assure readers they are in safe hands. Moving beyond Burgundy, she notes that the recent improvement in Alsace Pinot Noir “was a long time coming,” and I couldn’t agree more. Time was when every one I tasted promised much on the nose but failed to deliver on the palate, where the initial appeal tailed off into watery disappointment. If that echoes your experience, Krebiehl suggests you take another look soon; juicy promise on the nose has been joined by conviction and moderate length on the palate.
# Unrelated to this article: records of crystals
=====
# Dy3Ho2In7 | Alexandria | PBE-GGA | optimized geometry
data_Dy3Ho2In7
_symmetry_space_group_name_H-M 'C m m m'
_symmetry_Int_Tables_number 65
_symmetry_space_group_name_Hall '-C 2 2'
_cell_length_a 4.8223
_cell_length_b 30.2370
_cell_length_c 4.6590
_cell_angle_alpha 90.00
_cell_angle_beta 90.00
_cell_angle_gamma 90.00
loop_
_atom_site_label
_atom_site_fract_x
_atom_site_fract_y
_atom_site_fract_z
Dy1 0.0000 0.0000 0.0000
Dy2 0.0000 0.1467 0.0000
Ho1 0.0000 0.3412 0.5000
In1 0.0000 0.0767 0.5000
In2 0.0000 0.2254 0.5000
In3 0.0000 0.4223 0.0000
In4 0.0000 0.5000 0.5000
# DOS(E_F), states/eV per cell: 17.20
# Raw total energy, eV/atom: -3.734


# NaMg6Pb4 | Alexandria | PBE-GGA | optimized geometry
data_NaMg6Pb4
_symmetry_space_group_name_H-M 'P -6 m 2'
_symmetry_Int_Tables_number 187
_symmetry_space_group_name_Hall 'P -6 2'
_cell_length_a 8.7242
_cell_length_b 8.7242
_cell_length_c 4.5458
_cell_angle_alpha 90.00
_cell_angle_beta 90.00
_cell_angle_gamma 120.00
loop_
_atom_site_label
_atom_site_fract_x
_atom_site_fract_y
_atom_site_fract_z
Na1 0.0000 0.0000 0.0000
Mg1 0.2021 0.4041 0.5000
Mg2 0.5360 0.0721 0.0000
Pb1 0.3333 0.6667 0.0000
Pb2 0.3774 0.1887 0.5000
# DOS(E_F), states/eV per cell: 3.27
# Raw total energy, eV/atom: -2.406


# ZnPtPb2 | Alexandria | PBE-GGA | optimized geometry
data_ZnPtPb2
_symmetry_space_group_name_H-M 'C 1 m 1'
_symmetry_Int_Tables_number 8
_symmetry_space_group_name_Hall 'C -2y'
_cell_length_a 7.5746
_cell_length_b 4.3642
_cell_length_c 6.5537
_cell_angle_alpha 90.00
_cell_angle_beta 112.62
_cell_angle_gamma 90.00
loop_
_atom_site_label
_atom_site_fract_x
_atom_site_fract_y
_atom_site_fract_z
Zn1 0.0000 0.0000 0.0000
Pt1 0.1632 0.5000 0.9883
Pb1 0.2363 0.0000 0.7066
Pb2 0.4283 0.0000 0.2881
# DOS(E_F), states/eV per cell: 3.24
# Raw total energy, eV/atom: -3.829


# MnZn2Pt2 | Alexandria | PBE-GGA | optimized geometry
data_MnZn2Pt2
_symmetry_space_group_name_H-M 'I 4/m m m'
_symmetry_Int_Tables_number 139
_symmetry_space_group_name_Hall '-I 4 2'
_cell_length_a 3.5321
_cell_length_b 3.5321
_cell_length_c 13.0447
_cell_angle_alpha 90.00
_cell_angle_beta 90.00
_cell_angle_gamma 90.00
loop_
_atom_site_label
_atom_site_fract_x
_atom_site_fract_y
_atom_site_fract_z
Mn1 0.0000 0.0000 0.0000
Zn1 0.0000 0.5000 0.2500
Pt1 0.0000 0.0000 0.3978
# DOS(E_F), states/eV per cell: 4.34
# Raw total energy, eV/atom: -4.982


# SrLiZnSn2 | Alexandria | PBE-GGA | optimized geometry
data_SrLiZnSn2
_symmetry_space_group_name_H-M 'I -4 m 2'
_symmetry_Int_Tables_number 119
_symmetry_space_group_name_Hall 'I -4 -2'
_cell_length_a 4.5966
_cell_length_b 4.5966
_cell_length_c 11.9117
_cell_angle_alpha 90.00
_cell_angle_beta 90.00
_cell_angle_gamma 90.00
loop_
_atom_site_label
_atom_site_fract_x
_atom_site_fract_y
_atom_site_fract_z
Sr1 0.0000 0.0000 0.0000
Li1 0.0000 0.5000 0.2500
Zn1 0.0000 0.5000 0.7500
Sn1 0.0000 0.0000 0.3793
# DOS(E_F), states/eV per cell: 2.58
# Raw total energy, eV/atom: -3.025
=====

Skipping across the border to Germany, Krebiehl quotes Robert Parker’s coruscating put-down of German Pinot, written in 2002: “A grotesque and ghastly wine that tastes akin to a defective, sweet, faded, diluted red Burgundy from an incompetent producer. Need I say more?” My opinion at the time, though not as trenchant, was informed by exposure to wines I found soupy and clumsy, relying on heft rather than grace to make an impact; there was too much superstructure piled on shaky foundations. Given that Krebiehl is herself German, these pages provide, perhaps inevitably, the strongest regional profile in the book. Today, the news is all positive: Germany is now the world’s third-largest producer of Pinot Noir after France and the US, and Pinot is found in all 13 regions.
# Here the page breaks off for records of crystals
~~~
Crystalline Na2CoNi3F12 at its relaxed geometry. Source: Alexandria via LeMat-Bulk, functional PBE with a Hubbard U.

## Properties
Its total energy is -4.177 eV/atom. As for the magnetization: 0.33 μB/atom.

Cell lengths 7.215, 7.215, 7.215 Å; angles 58.08, 58.08, 58.08 degrees
Each line ends with the local moment (μB).
Atoms (fractional coordinates):
F 0.068 0.068 0.693  0.03
Ni 0.000 0.500 0.000  1.75
F 0.338 0.338 0.915  0.00
F 0.693 0.068 0.068  0.03
Co 0.000 0.000 0.000  0.42
Na 0.591 0.591 0.591  0.00
F 0.662 0.085 0.662  0.00
F 0.915 0.338 0.338  0.00
F 0.932 0.307 0.932  0.03
F 0.338 0.915 0.338  0.00
Ni 0.000 0.000 0.500  1.75
Na 0.409 0.409 0.409  0.00
F 0.085 0.662 0.662  0.00
F 0.662 0.662 0.085  0.00
Ni 0.500 0.000 0.000  1.75
F 0.932 0.932 0.307  0.03
F 0.307 0.932 0.932  0.03
F 0.068 0.693 0.068  0.03


# 1
# HfBe11Co PBE optimized geometry
data_HfBe11Co
_chemical_formula_sum 'Hf1 Be11 Co1'
_space_group_name_H-M_alt 'P 1'
_space_group_IT_number 1
_cell_length_a 5.752
_cell_length_b 5.752
_cell_length_c 5.666
_cell_angle_alpha 97.64
_cell_angle_beta 97.64
_cell_angle_gamma 136.65
loop_
_space_group_symop_operation_xyz
'x,y,z'
loop_
_atom_site_label
_atom_site_type_symbol
_atom_site_fract_x
_atom_site_fract_y
_atom_site_fract_z
Hf1 Hf 0.000 0.000 0.000
Be1 Be 0.000 0.500 0.000
Be2 Be 0.016 0.662 0.646
Be3 Be 0.276 0.502 0.779
Be4 Be 0.338 0.984 0.354
Be5 Be 0.498 0.724 0.221
Be6 Be 0.500 0.000 0.000
Be7 Be 0.500 0.500 0.500
Be8 Be 0.502 0.276 0.779
Be9 Be 0.662 0.016 0.646
Be10 Be 0.724 0.498 0.221
Be11 Be 0.984 0.338 0.354
Co1 Co 0.000 0.000 0.500
# total DFT energy (no corrections) = -4.660 eV/atom
# formation enthalpy at 0 K = -0.19 eV/atom
# magnetic moment = 0.0 Bohr magnetons per cell


# 2
# Sc4Al2CdPd PBE optimized geometry
data_Sc4Al2CdPd
_chemical_formula_sum 'Sc4 Al2 Cd1 Pd1'
_space_group_name_H-M_alt 'P 1'
_space_group_IT_number 1
_cell_length_a 8.349
_cell_length_b 8.349
_cell_length_c 8.349
_cell_angle_alpha 33.67
_cell_angle_beta 33.67
_cell_angle_gamma 33.67
loop_
_space_group_symop_operation_xyz
'x,y,z'
loop_
_atom_site_label
_atom_site_type_symbol
_atom_site_fract_x
_atom_site_fract_y
_atom_site_fract_z
Sc1 Sc 0.120 0.120 0.120
Sc2 Sc 0.371 0.371 0.371
Sc3 Sc 0.629 0.629 0.629
Sc4 Sc 0.880 0.880 0.880
Al1 Al 0.247 0.247 0.247
Al2 Al 0.753 0.753 0.753
Cd1 Cd 0.500 0.500 0.500
Pd1 Pd 0.000 0.000 0.000
# total DFT energy (no corrections) = -5.368 eV/atom
# formation enthalpy at 0 K = -0.50 eV/atom
# magnetic moment = 0.0 Bohr magnetons per cell


(1)
Density functional theory data (meta-GGA SCAN) for AlIn2Br at its PBEsol-relaxed geometry.

Properties
distance to the lowest polymorph of the same formula = 0 meV/atom
symmetry = Cmmm

a = 3.452 Å, b = 3.452 Å, c = 8.071 Å
α = 90.00°, β = 90.00°, γ = 95.21°
Positions (direct):
Al 0.000 0.000 0.000
In 0.500 0.500 0.230
In 0.500 0.500 0.770
Br 0.000 0.000 0.500


(2)
Density functional theory data (meta-GGA SCAN) for AlIn2Br at its PBEsol-relaxed geometry.

Properties
~~~
Krebiehl elaborates: “This resounding success is down to a complete shift from quantity to quality, pioneered by curious winemakers who were fed up with the status quo of the late 1980s and ’90s, and to their children who drove this quality ethos forward via much better viticulture and sensitive winemaking.” And she concludes: “Stylistically, it is impossible to pin German Pinot Noir down, but it is safe to say that Germany today offers a scintillating playground for any Pinot lover. No longer is [there] any doubt that some of them are world-class.” It is a sentiment with which I wholly concur—and I would go further and suggest that by the end of this century, far more than “some” German Pinots will be world-class.
Thereafter, Krebiehl sweeps across the globe, highlighting Pinot hot spots in New Zealand, Tasmania, Gippsland (home to my favorite New World Pinot, Bass Phillip), and many others, while not forgetting North and South America. Unsurprisingly, she references “the Sideways phenomenon,” in California, “that led to a veritable explosion of Pinot Noir,” thanks to the influence of the 2004 film based on the novel by Rex Pickett.
She also deals with the elephant in the room that is climate change, arguing, “Adaptation in both plant material and farming practices will go a long way toward mitigating the effects of climate change.” She then finishes optimistically, “Climate change has already shifted the latitudes in which it thrives, and may do so even more dramatically within our lifetime. But there is no doubt that Pinot Noir will continue to stay with us, as it already has for centuries.”
Highly recommended
Reviewing Richard Mayson’s The Essential Guide to Modern Madeira (see WFW 81, pp.54–55), I observed: “A minor irritation in this guide are the almost illegible captions printed on a greyed-out band at the bottom of the photographs, making them near-impossible to read. It’s a small detail, but it is a baffling design error that could have been easily avoided.” In Pinot Noir, it is still baffling and has yet to be avoided. I also noted: “I wish it was sturdier—after leafing through it a couple of times some of the pages were already coming loose from the binding.” This has been remedied in Krebiehl’s monograph—after a fashion: The pages are now simply stapled together, but that has the effect of cheapening the feel of the publication. Pinot Noir deserves better. And this work would have benefited hugely from an appendix of some recommendations or personal favorites; even one name from each region profiled would provide some direction, especially in the regions where attractive quality is pretty much a 21st-century happening.
Those few minor quibbles aside, I would have no hesitation in recommending this monograph, especially to Pinot neophytes—wine lovers keen to dip their toes in these challenging waters, particularly if they have been put off by all the fluster and hyperbole that Pinot generates. It will be a tenner well spent.
Pinot Noir Around the World
Anne Krebiehl MW
Published by The International Wine & Food Society
Available from iwfs.org/secretariat/purchase; 86 pages; $14 / £9.99 / €11